There are significant decreases in mobility happening across Europe as COVID-19 spreads through the region, according to new data analysis from network benchmarking company umlaut.
== Crystal structures, kept here for reference ==
+++
This record from the Materials Project describes a relaxed structure of CsAuCl4. The functional is meta-GGA r2SCAN.

Cell lengths 6.255, 7.237, 9.893 Å; angles 103.36, 90.00, 115.61 degrees
Fractional coordinates of all 12 atoms:
Cs 0.296 0.000 0.250
Cs 0.704 0.000 0.750
Au 0.000 0.500 0.500
Au 0.500 0.500 0.000
Cl 0.135 0.861 0.570
Cl 0.274 0.139 0.930
Cl 0.865 0.139 0.430
Cl 0.726 0.861 0.070
Cl 0.310 0.547 0.364
Cl 0.763 0.453 0.136
Cl 0.690 0.453 0.636
Cl 0.237 0.547 0.864

Properties
Calculated volume = 32.53 A^3/atom
Total DFT energy (no corrections) = -213.53 eV per cell
ΔE_f = -1077 meV per atom
Symmetry = C2/c (15)

* * * * *

Computed, not measured: a relaxed NaI crystal at the PBE level of DFT.

Computed properties:
* formation energy from the elements: -1.34 eV/atom
* total moment: 0.000 μB/atom
* SG: Pmma, No. 51
* energy with MP2020 corrections: -11.06 eV/cell

Cell lengths 4.270, 4.622, 7.798 Å; angles 90.00, 90.00, 90.05 degrees
Positions (direct):
+++
umlaut, formerly P3, gathers its crowd-sourced data from devices that have apps which include its anonymized data collection working in the background. It is integrated with hundreds of Android apps installed on 200 million devices around the world.
In a newly available report on COVID-19 impacts to European metropolitan networks, the company examines data from Berlin, Germany; Madrid, Spain; and Milan, Italy. Its data on the distance that devices move each day in those cities shows the impact on device mobility of social distancing and government-ordered lockdowns. In particular, in Milan, which had the earliest lockdown in Europe, showed a steep decrease in the movement of devices and the people who carry them.
Record 1
First-principles (PBE) data for a relaxed Y2B3C2 crystal, as listed in Materials Project.

The value obtained for the density is 4.6 Mg/m³. Its calculated formation energy is -0.504 eV/atom. The calculation puts the total energy at -7.8508 eV/atom.

The structure belongs to space group Cmmm (No. 65); the cell edges are 3.396, 13.739 and 3.652 Å and the angles 90.00°, 90.00° and 90.00°. The inequivalent atoms are Y at (0.000, 0.136, 0.000), B at (0.000, 0.283, 0.500), B at (0.000, 0.500, 0.500) and C at (0.000, 0.395, 0.500).



Record 2
First-principles (PBE) data for a relaxed SrZrO3 crystal, as listed in Materials Project.

The value obtained for the density is 5.2 Mg/m³. Its calculated formation energy is -3.654 eV/atom. The calculation puts the total energy at -8.2581 eV/atom. The total energy after the MP2020 corrections comes out at -8.67 eV/atom.

The structure belongs to space group Cmcm (No. 63); the cell edges are 8.269, 8.351 and 8.337 Å and the angles 90.00°, 90.00° and 90.00°. The inequivalent atoms are Sr at (0.000, 0.005, 0.250), Sr at (0.000, 0.488, 0.750), Zr at (0.250, 0.250, 0.000), O at (0.000, 0.291, 0.045), O at (0.203, 0.255, 0.750) and O at (0.206, 0.000, 0.000).



Record 3
First-principles (PBE) data for a relaxed Tl6Si2O7 crystal, as listed in Materials Project.

The value obtained for the density is 6.1 Mg/m³. For the relative energy among the computed polymorphs, the calculation gives 205 kJ/mol of formula units. Its calculated formation energy is -1.764 eV/atom. The calculation puts the total energy at -5.4204 eV/atom. The total energy after the MP2020 corrections comes out at -5.74 eV/atom.

The structure belongs to space group P3 (No. 143); the cell edges are 9.4436, 9.4436 and 4.8812 Å and the angles 90.00°, 90.00° and 120.00°. The inequivalent atoms are Tl at (0.0167, 0.6418, 0.0000), Tl at (0.2731, 0.0316, 0.4631), Si at (0.0000, 0.0000, 0.9278), Si at (0.3333, 0.6667, 0.4908), O at (0.0000, 0.0000, 0.5874), O at (0.0725, 0.1917, 0.0277) and O at (0.1972, 0.7196, 0.4896).



Record 4
First-principles (PBE) data for a relaxed Y3Fe62B14 crystal, as listed in Materials Project.

The value obtained for the density is 7.2 Mg/m³. Its calculated formation energy is 0.082 eV/atom. The calculation puts the total energy at -7.9944 eV/atom.

The structure belongs to space group Im-3m (No. 229); the cell edges are 12.122, 12.122 and 12.122 Å and the angles 90.00°, 90.00° and 90.00°. The inequivalent atoms are Y at (0.000, 0.000, 0.500), Fe at (0.000, 0.147, 0.288), Fe at (0.000, 0.250, 0.500), Fe at (0.097, 0.332, 0.332), Fe at (0.192, 0.192, 0.192), B at (0.000, 0.000, 0.175) and B at (0.089, 0.089, 0.089).



Record 5
First-principles (PBE) data for a relaxed H crystal, as listed in Materials Project.
umlaut also offered up heat maps of user density and duration of stay across those three cities, comparing January 13 to March 16. All three cities saw a distinct drop in both categories, with Milan showing a particularly drastic fall-off in mobile activity.

After the lockdown in the Lombardy region, umlaut said, device time spent indoors and Wi-Fi traffic increased dramatically. Indoor time was recognized in the data when a device registered as being near a Wi-Fi access point.
/*
--- one ---
The following is a DFT calculation (PBE-GGA) of a relaxed Mg6CoB crystal.

a b c (Å): 4.494 6.235 10.053
angles (deg): 90.00 90.00 90.00
Fractional coordinates of all 16 atoms:
Mg (0.000, 0.251, 0.593)
Mg (0.000, 0.749, 0.593)
Mg (0.500, 0.247, 0.408)
Mg (0.500, 0.753, 0.408)
Mg (0.500, 0.000, 0.676)
Mg (0.500, 0.000, 0.173)
Mg (0.000, 0.751, 0.093)
Mg (0.000, 0.249, 0.093)
Mg (0.500, 0.747, 0.908)
Mg (0.500, 0.253, 0.908)
Mg (0.500, 0.500, 0.176)
Mg (0.500, 0.500, 0.673)
Co (0.000, 0.000, 0.838)
Co (0.000, 0.500, 0.338)
B (0.000, 0.000, 0.311)
B (0.000, 0.500, 0.811)

- Calculated volume: 17.61 Å³ per atom
- ρ: 2.5 Mg/m³

--- two ---
The following is a DFT calculation (PBE-GGA) of a relaxed Mg6CoB crystal.

a b c (Å): 3.179 9.384 10.159
angles (deg): 90.00 90.00 90.00
Fractional coordinates of all 16 atoms:
Mg (0.000, 0.669, 0.122)
Mg (0.000, 0.331, 0.122)
Mg (0.000, 0.500, 0.846)
Mg (0.500, 0.775, 0.875)
Mg (0.500, 0.225, 0.875)
Mg (0.500, 0.500, 0.582)
Mg (0.000, 0.169, 0.622)
Mg (0.000, 0.831, 0.622)
Mg (0.000, 0.000, 0.346)
Mg (0.500, 0.275, 0.375)
Mg (0.500, 0.725, 0.375)
Mg (0.500, 0.000, 0.082)
Co (0.000, 0.500, 0.339)
Co (0.000, 0.000, 0.839)
B (0.500, 0.500, 0.240)
B (0.500, 0.000, 0.740)

- Calculated volume: 18.94 Å³ per atom
- ρ: 2.4 Mg/m³

Most favorable structure: two. The second most favorable one is 36.3 kJ/mol of atoms above it.

--- one ---
The following is a DFT calculation (PBE-GGA) of a relaxed CrB4 crystal.

a b c (Å): 2.854 4.727 5.480
angles (deg): 90.00 90.00 90.00
Fractional coordinates of all 10 atoms:
Cr (0.500, 0.500, 0.500)
Cr (0.000, 0.000, 0.000)
B (0.500, 0.665, 0.866)
B (0.500, 0.335, 0.134)
B (0.000, 0.165, 0.634)
B (0.000, 0.835, 0.366)
B (0.500, 0.723, 0.178)
B (0.500, 0.277, 0.822)
B (0.000, 0.223, 0.322)
B (0.000, 0.777, 0.678)

- SG: Pnnm
- Calculated volume: 7.39 Å³ per atom
- ρ: 4.3 Mg/m³

--- two ---
The following is a DFT calculation (PBE-GGA) of a relaxed CrB4 crystal.

a b c (Å): 3.899 3.899 3.899
angles (deg): 137.08 104.96 90.54
Fractional coordinates of all 5 atoms:
Cr (0.000, 0.000, 0.000)
B (0.537, 0.342, 0.195)
B (0.147, 0.342, 0.805)
B (0.853, 0.658, 0.195)
B (0.463, 0.658, 0.805)

- SG: Immm
- Calculated volume: 7.44 Å³ per atom
- ρ: 4.3 Mg/m³

Most favorable structure: one. The second most favorable one is 0.6 kJ/mol of atoms above it.

--- one ---
The following is a DFT calculation (PBE-GGA) of a relaxed CrB4Mo crystal.

a b c (Å): 4.364 4.364 4.364
angles (deg): 139.61 106.58 87.31
Fractional coordinates of all 6 atoms:
Cr (0.000, 0.000, 0.000)
B (0.080, 0.746, 0.333)
B (0.587, 0.254, 0.333)
B (0.920, 0.254, 0.667)
B (0.413, 0.746, 0.667)
Mo (0.500, 0.500, 0.000)

- SG: Immm
- Calculated volume: 8.27 Å³ per atom
- ρ: 6.4 Mg/m³

--- two ---
The following is a DFT calculation (PBE-GGA) of a relaxed CrB4Mo crystal.

a b c (Å): 3.019 3.019 6.262
angles (deg): 90.00 90.00 120.00
Fractional coordinates of all 6 atoms:
Cr (0.000, 0.000, 0.000)
B (0.667, 0.333, 0.765)
*/
_Here the entry continues_
umlaut noted some variability across the different countries, which reflects the relative impact of COVID-19 at this point in the pandemic. Milan, in the hard-hit Lombardy of Italy, saw an abrupt “drastic shrinkage” in mobile device movement and the duration that people stayed in the city. That area was also the focus of some of the earliest shut-downs in Europe, with Milan subject to closings prior to the nationwide Italian lock-down on March 9. Comparatively, in the same March timeframe, Madrid, Spain, saw fewer visits from people and they didn’t stay as long in certain areas compared to January, but it was not as consistent across the entire city. Spain ordered its national lock-down on March 14. Meanwhile, in Berlin, changes between January and March were not as drastic, even thought the data from March 16 does show somewhat of a decrease in mobile device movement. Germany has not gone to a complete shut-down at this point but adopted strict social distancing guidelines on March 22.
umlaut is already beginning to look at network impacts in the U.S. as well, concluding that California has been seeing an increase in Wi-Fi time and traffic-share since March 14.